<i>
! Mn2SbN3, relaxed, DFT PBE; values from VASP
&SYSTEM
  ibrav = 0, nat = 24, ntyp = 3
/
ATOMIC_SPECIES
Mn 54.94 Mn.upf
Sb 121.76 Sb.upf
N 14.01 N.upf
ATOMIC_POSITIONS angstrom
Mn 3.247 -0.626 6.752
Mn -2.709 2.259 5.245
Mn -8.169 5.504 1.234
Mn -2.214 2.619 2.741
Mn 4.669 -0.689 4.558
Mn -1.837 1.133 7.439
Mn -9.591 5.567 3.428
Mn -3.085 3.745 0.547
Sb 0.392 1.064 4.886
Sb -5.736 3.616 7.111
Sb -5.314 3.814 3.100
Sb 0.813 1.262 0.875
N -8.815 3.943 6.016
N -3.272 1.487 2.005
N 3.054 0.204 4.962
N -3.498 1.937 7.034
N -7.976 4.674 3.023
N -1.424 2.941 0.951
N 1.843 -0.779 7.984
N -3.393 3.493 4.012
N -6.766 5.657 0.001
N -1.529 1.385 3.973
N -1.053 -0.079 6.016
N -11.033 5.509 2.005
CELL_PARAMETERS angstrom
7.164 -0.551 -0.036
-11.746 6.086 0.000
-0.340 -0.657 8.022
! Magnetic moment (μB/f.u.): 1.75
! Space group: No. 15

---

<ii>
! Mn2SbN3, relaxed, DFT PBE; values from VASP
&SYSTEM
  ibrav = 0, nat = 12, ntyp = 3
/
ATOMIC_SPECIES
Mn 54.94 Mn.upf
Sb 121.76 Sb.upf
N 14.01 N.upf
ATOMIC_POSITIONS angstrom
Mn 1.177 1.784 2.605
Mn 0.281 4.711 2.605
Mn 1.238 3.054 5.314
Mn 2.134 0.127 5.314
Sb -1.867 3.235 3.015
Sb -1.115 1.932 0.305
N 1.440 1.447 4.382
N 0.442 4.315 4.382
N 0.975 3.391 1.672
N 1.973 0.523 1.672
N -2.178 3.774 5.167
N -0.804 1.393 2.458
CELL_PARAMETERS angstrom
5.397 -0.329 0.000
-2.982 5.167 0.000
0.000 0.000 5.420
! Magnetic moment (μB/f.u.): 0.00
! Space group: No. 36

---

Short version: <ii> is the most stable of them.

---

<i>
! Mn4Se3N2, relaxed, DFT PBE; values from VASP
&SYSTEM
  ibrav = 0, nat = 18, ntyp = 3
/
ATOMIC_SPECIES
Mn 54.94 Mn.upf
Se 78.96 Se.upf
N 14.01 N.upf
ATOMIC_POSITIONS angstrom
Mn 4.342 14.805 1.565
Mn 1.888 0.280 1.565
Mn 1.227 7.823 0.000
Mn 5.002 7.262 0.000
Mn 6.136 10.017 1.565
Mn 0.093 5.069 1.565
Mn 3.021 12.612 0.000
Mn 3.208 2.474 0.000
Se 3.115 7.543 1.565
Se 0.000 0.000 0.000
Se 3.939 4.294 1.565
Se 2.290 10.792 1.565
Se 0.824 3.249 0.000
Se 5.405 11.837 0.000
N 3.458 1.366 1.565
N 2.772 13.719 1.565
N 0.343 6.176 0.000
N 5.886 8.909 0.000
CELL_PARAMETERS angstrom
6.229 0.000 0.000
0.000 15.086 0.000
0.000 0.000 3.130
! Magnetic moment (μB/f.u.): 10.62
! Space group: No. 58

---

<ii>
! Mn4Se3N2, relaxed, DFT PBE; values from VASP
&SYSTEM
  ibrav = 0, nat = 36, ntyp = 3
/
ATOMIC_SPECIES
Mn 54.94 Mn.upf
Se 78.96 Se.upf
N 14.01 N.upf
ATOMIC_POSITIONS angstrom
Mn -3.609 7.747 0.748
Mn -5.944 6.275 -1.492
Mn -7.485 1.260 3.799
Mn -5.151 2.732 6.039
Mn -5.133 3.975 -0.906
Mn -3.008 0.909 0.830
Mn -5.962 5.032 5.454
Mn -8.087 8.098 3.717
Mn -6.405 0.834 0.781
Mn -0.956 3.936 -0.152
Mn -7.739 7.945 7.094
Mn -7.089 5.300 1.371
Mn -4.689 8.173 3.766
Mn -10.138 5.072 4.699
Mn -3.356 1.062 -2.547
Mn -4.006 3.708 3.177
Se -5.671 1.734 -1.553
Se -3.333 3.277 0.695
Se -5.424 7.273 6.100
Se -7.762 5.730 3.853
Se -6.371 2.980 2.306
Se -6.799 1.091 7.050
Se -2.108 6.223 -0.614
Se -6.912 7.721 0.353
Se -4.724 6.028 2.242
Se -4.296 7.916 -2.503
Se -8.987 2.784 5.161
Se -4.182 1.287 4.194
N -6.459 8.821 3.440
N -6.210 4.107 6.980
N -2.830 0.321 -0.864
N -6.690 4.765 -0.462
N -4.636 0.186 1.107
N -4.884 4.901 -2.433
N -8.265 8.686 5.412
N -4.404 4.242 5.009
CELL_PARAMETERS angstrom
-4.503 0.661 -4.080
-7.003 -0.524 7.643
0.410 8.870 0.984
! Magnetic moment (μB/f.u.): 11.96
! Space group: No. 62

---

Short version: <ii> is the most stable of them.

---

<i>
! Sr4MnN4, relaxed, DFT PBE; values from VASP
&SYSTEM
  ibrav = 0, nat = 36, ntyp = 3
/
ATOMIC_SPECIES
Sr 87.62 Sr.upf
Mn 54.94 Mn.upf
N 14.01 N.upf
ATOMIC_POSITIONS angstrom
Sr -10.755 -4.318 4.015
Sr -4.043 -4.374 4.066
Sr -5.191 -2.413 -3.430
Sr -11.903 -2.356 -3.480
Sr -10.437 -1.668 0.157
Sr -7.887 -5.888 6.288
Sr -5.509 -5.062 0.429
Sr -8.059 -0.842 -5.703
Sr -13.613 -3.000 2.112
Sr -7.501 -3.658 3.039
Sr -2.333 -3.730 -1.526
Sr -8.445 -3.072 -2.454
Sr -10.332 0.860 -3.524
Sr -5.966 -1.544 -0.045
Sr -5.614 -7.590 4.110
Sr -9.980 -5.186 0.631
Mn -7.348 0.164 -2.526
Mn -3.384 -2.641 1.539
Mn -8.597 -6.895 3.112

Now filter the material earlier on: keep the lines with the word "ATOMIC_POSITIONS".

ATOMIC_POSITIONS angstrom
ATOMIC_POSITIONS angstrom
ATOMIC_POSITIONS angstrom
ATOMIC_POSITIONS angstrom
ATOMIC_POSITIONS angstrom